3.Saved...... again - I I

Led found himself in a large room with no windows & walls. Painted all white on the inside.

A woman stood in the right corner of the room looking at him, smiling.

"She looks familiar. ", he thought.

He suddenly remembered who she was. He started running towards her.

Black hands started emerging from the white walls & started pulling her towards her.

"Mama! mama!!", he started screaming.

He tried his best to save her, but could not do so in time.

He fell down on his knees, panting.

He looked at his hands which were now red, blood dripping from both of them.

He started hyperventilating. He wanted to scream his lungs out.

The white room was no longer white now. Tons of blood started flowing from the walls & flooded the room.

He opened his eyes while being on his bed. Tears flowing down his eyes . He felt as if he was the most lonely person in this world.

"What happened?", the girl entered his room in a hurried manner,"Why are you crying? "

"What? I'm not.....", he touched his eyes. He was not aware of his tears.

"A nightmare?"

"I....don't remember.", he paused for a moment, "What's the time right now? "

"It's 3 in the morning. Just go back to sleep. "

He gave a slight nod & then closed his eyes back again.

He opened them again at 7, being all wet. She poured down a bucket full of water on him.

"Wake up. You need to go to school."

He scratched his head, " Ugh don't want to "

" Did you just say something " , she held a knife in her right hand. The expression on her face signalled a single word -> DEATH

" Oh no ! ! ! I'm getting late for school ! ! "

He expected a good breakfast but had to resort to toast.

"I don't know why I'm letting her stay here or why I listen to her", he thought on his way to school.

Someone pasted crystal structures at this point.
┌──
VASP calculation (PBE) on a relaxed structure of Ba2SnPb5.

Its energy relative to the elements is -0.19 eV/atom. The crystal system is tetragonal. For the distance to the lowest polymorph of the same formula, the calculation gives 18.1 kJ/mol of atoms. The value obtained for the total energy is -55.88 eV/cell.

The space group is I4mm (No. 107) and the conventional cell measures 6.9362, 6.9362 and 13.6668 Å, with angles of 90.00, 90.00 and 90.00 degrees. The asymmetric unit holds Ba at (0.0000, 0.5000, 0.0000), Sn at (0.0000, 0.0000, 0.1018), Pb at (0.0000, 0.0000, 0.8936) and Pb at (0.2486, 0.2486, 0.2442).

~~~~~

Record 1
Density functional theory data (PBE) for a relaxed Ho2Si6Pt21 crystal.

```
Ho2Si6Pt21
1.0
7.5345 0.0000 4.3500
2.5115 7.1036 4.3500
0.0000 0.0000 8.7001
Pt Si Ho
21 6 2
Direct
0.0000 0.0000 0.6549
0.8495 0.3835 0.3835
0.0000 0.6549 0.0000
0.3835 0.8495 0.3835
0.0000 0.0000 0.0000
0.6549 0.3451 0.0000
0.0000 0.6549 0.3451
0.3451 0.0000 0.0000
0.0000 0.3451 0.6549
0.6549 0.0000 0.3451
0.6165 0.1505 0.6165
0.6549 0.0000 0.0000
0.3835 0.3835 0.8495
0.0000 0.0000 0.3451
0.3835 0.3835 0.3835
0.1505 0.6165 0.6165
0.3451 0.6549 0.0000
0.0000 0.3451 0.0000
0.3451 0.0000 0.6549
0.6165 0.6165 0.6165
0.6165 0.6165 0.1505
0.7337 0.2663 0.2663
0.7337 0.2663 0.7337
0.2663 0.7337 0.7337
0.2663 0.7337 0.2663
0.2663 0.2663 0.7337
0.7337 0.7337 0.2663
0.2500 0.2500 0.2500
0.7500 0.7500 0.7500
```

Results
Uncorrected formation energy (eV/atom): -0.68
Space group: No. 225



Record 2
Density functional theory data (PBE) for a relaxed Ba2PrBiO5 crystal.

```
Ba2PrBiO5
1.0
3.7965 0.0000 0.0000
-1.8983 7.5109 0.0000
0.0000 0.0000 12.4166
Bi O Pr Ba
2 10 2 4
Direct
0.5225 0.0450 0.9677
0.4775 0.9550 0.4677
0.4862 0.9724 0.7901
0.2715 0.5431 0.6334
0.2929 0.5858 0.3825
0.6144 0.2287 0.5322
0.7285 0.4569 0.1334
0.7071 0.4142 0.8825
0.9323 0.8647 0.5556
0.0677 0.1353 0.0556
0.5138 0.0276 0.2901
0.3856 0.7713 0.0322
0.2305 0.4610 0.0023
0.7695 0.5390 0.5023
0.8588 0.7177 0.7617
0.1057 0.2114 0.6984
0.1412 0.2823 0.2617
0.8943 0.7886 0.1984
```

Results
Uncorrected formation energy (eV/atom): -2.34
Space group: No. 36



Record 3
Density functional theory data (PBE) for a relaxed H2Pd3 crystal.

```
H2Pd3
1.0
4.9929 0.0000 0.0000
2.4965 4.3240 0.0000
2.4965 1.4413 4.7521
Pd H
6 4
Direct
0.7500 0.4188 0.7500
0.4188 0.0812 0.7500
0.0812 0.7500 0.7500
0.9188 0.2500 0.2500
0.5812 0.9188 0.2500
0.2500 0.5812 0.2500
0.8565 0.8565 0.4306
0.6435 0.6435 0.0694
0.1435 0.1435 0.5694
0.3565 0.3565 0.9306
```

Results
Space group: No. 167
Energy relative to the lowest polymorph listed for this composition (eV per atom): 0.0000



Record 4
Density functional theory data (PBE) for a relaxed AlCuHg crystal.

```
AlCuHg
1.0
4.2831 0.0000 0.0000
-2.1416 3.7093 0.0000
0.0000 0.0000 3.3599
Hg Al Cu
1 1 1
Direct
0.3333 0.6667 0.6550
0.0000 0.0000 0.1103
0.6667 0.3333 0.2347
```

Results
Space group: No. 156
ΔH_f (0 K) (eV per atom): 0.192
└──

She had stayed with him ever since that day.

"I feel like I've known her for a long time now. Like we have a connection", he reached his school.

"I haven't been here in such a long time that I've forgotten why I hate this place so much. ", he thought to himself.

He entered the gates & found out that he was late.


He entered his class. There were a lot of new students and a new teacher .

He looked around for an empty place. The front seat was vacant.

"Just.... great", he thought.

"Are you new here? ", the teacher asked him.

"No. I've not actually been here for the past six months. "

"Oh may I know the reason why? "

"I just hate this place"

Everyone in the class started whispering things to each other and the teacher was more amused than shocked by his response.

"Im no one to judge you on that. Have a seat. ", he pointed towards the vacant table.

School was boring, as expected, the best part of the school was the lunch that she had packed.

"The new teacher seems to be a good guy", he thought while eating.

He thought of a million more things. Like the time he went on a trip to a really expensive place with his family to a place that he had long forgotten the name of and the time he would go fishing with his uncle Francis every once in a while.

Unrelated to this article: calculated crystals:
! MnPd8Pt2 (PBE, relaxed); values from VASP
&SYSTEM
  ibrav = 0, nat = 11, ntyp = 3
/
ATOMIC_SPECIES
Mn 54.94 Mn.upf
Pd 106.42 Pd.upf
Pt 195.08 Pt.upf
CELL_PARAMETERS angstrom
3.816 0.000 -1.016
-0.409 6.021 -1.536
-0.083 -0.065 7.361
ATOMIC_POSITIONS crystal
Mn 0.500 0.000 0.000
Pd 0.590 0.448 0.180
Pd 0.319 0.091 0.638
Pd 0.134 0.178 0.269
Pd 0.045 0.730 0.090
Pd 0.866 0.822 0.731
Pd 0.681 0.909 0.362
Pd 0.410 0.552 0.820
Pd 0.955 0.270 0.910
Pt 0.225 0.633 0.451
Pt 0.775 0.367 0.549
! Calculated total energy: -63.92 eV/cell
! Energy above the most stable polymorph in this dataset: 0.000 eV/atom
! M_tot: 5.4 μB/f.u.
! Calculated density: 12.80 Mg/m³
! Formation energy from the elements: -0.1025 eV per atom
! Space-group type: C2/m (12)

=====

Record 1
## Sr3NdRh8 (PBE)

Data for a relaxed Sr3NdRh8 crystal.

Results
**Space group**: R3m
**Density of states at the Fermi level**: 14.17 states/eV/cell
**Raw total energy**: -73.1 eV for the cell shown
**Calculated formation energy**: -4.4 eV/f.u.

Lattice parameters (Å, degrees): 5.4622 5.4622 9.4899 73.27 73.27 60.00
Fractional positions:
Nd 0.8752 0.8752 0.3744
Rh 0.4370 0.9344 0.1916
Rh 0.1876 0.1876 0.4372
Rh 0.4413 0.9377 0.6832
Rh 0.9377 0.9377 0.6832
Rh 0.4370 0.4370 0.1916
Rh 0.6875 0.6875 0.9375
Rh 0.9377 0.4413 0.6832
Rh 0.9344 0.4370 0.1916
Sr 0.3746 0.3746 0.8761
Sr 0.0014 0.0014 0.9958
Sr 0.4985 0.4985 0.5044


Record 2
## SrNdTlRh (PBE)

Data for a relaxed SrNdTlRh crystal.

Results
**Space group**: F-43m
**Density of states at the Fermi level**: 2.46 states/eV/cell
**Raw total energy**: -17.3 eV for the cell shown
**Calculated formation energy**: -1.1 eV/f.u.

Lattice parameters (Å, degrees): 5.3373 5.3373 5.3373 60.00 60.00 60.00
Fractional positions:
Nd 0.2500 0.2500 0.2500
Sr 0.7500 0.7500 0.7500
Tl 0.0000 0.0000 0.0000
Rh 0.5000 0.5000 0.5000


Record 3
## SrNdZnRh (PBE)

Data for a relaxed SrNdZnRh crystal.

Results
**Space group**: F-43m
**Density of states at the Fermi level**: 4.16 states/eV/cell
**Raw total energy**: -16.2 eV for the cell shown
**Calculated formation energy**: -1.1 eV/f.u.

Lattice parameters (Å, degrees): 5.1702 5.1702 5.1702 60.00 60.00 60.00
Fractional positions:
Rh 0.5000 0.5000 0.5000
Nd 0.7500 0.7500 0.7500
Sr 0.2500 0.2500 0.2500
Zn 0.0000 0.0000 0.0000


Record 4
## NdTaRh2 (PBE)

Data for a relaxed NdTaRh2 crystal.

Results
**Space group**: P4/mmm
**Density of states at the Fermi level**: 3.24 states/eV/cell
**Excess energy over the best structure of this formula in the dataset**: 0 meV/atom
**Raw total energy**: -33.4 eV for the cell shown
**Calculated formation energy**: -2.1 eV/f.u.

Lattice parameters (Å, degrees): 3.2024 3.2024 7.4806 90.00 90.00 90.00
Fractional positions:
Ta 0.5000 0.5000 0.0000
Rh 0.0000 0.0000 0.8038
Rh 0.0000 0.0000 0.1962
Nd 0.5000 0.5000 0.5000


Record 5
## NdTaRh2 (PBE)

Data for a relaxed NdTaRh2 crystal.

Results
**Space group**: R-3m
**Density of states at the Fermi level**: 4.12 states/eV/cell

"Hey Led!", a voice called him from behind. It was a boy who had been his classmate for the past 3 years. He had not talked to him before though.

"How have you been man! you were not here for such a long time that most of us thought you were dead"

He just gave him a smile. His best response to anything that he could respond to in words.

"Yeah well we decided to arrange a party for you in the small storage. So let's go! ", he dragged him before he could give an answer.

They stormed through the hallway. The small storage was a bit far away from the main school building.

It was a part of the original school plan before it was replanned. But it was not taken down and it became a popular bunk spot for the students there.

The guy gave a knock on the old rusted iron door.

The door opened, revealing 3 girls and two boys waiting inside for him.

He knew them.

The one outside pushed him inside. Someone punched him on the gut and forced him down on his knees, he then proceeded to kick him in the face.

"Didn't see tell you to leave this place. Your presence alone makes me sick. "

All of them started beating him now.

All of it came back to him. They were the main reason he hated this place. He remembered all the times he cried because of them. Even if he made friends with someone, they'd bully them too and soon because of that, no one came close to him.

"You know that everyone hates you here. Why even bother coming here you murd.."

"Shut up", he interrupted the girl speaking while still laying on the floor,"you people think that you are doing something good just because you get to act all mighty about it. "

Everyone was silent.

"These guys don't even care. They are doing it so that you girls would give them a chance to bang you...."

They started beating him again.

The door opened suddenly. A small girl a muscular guy & another girl appeared with some things in their hands.

"What's going on?", the small girl asked.

"Nothing that should concern you guys", a boy answered.

"Well it does", the muscular guy said, "you see we want this space for us now"

"Well bad for you guys, get out now."

"Hey this isn't fair! we had told everyone about this.", the little girl replied back.

"Listen little girl", a girl from the group approached towards her, "we are a bit busy here so just leave before anything bad happens to you."

She was about to touch her head when the other girl from the trio grabbed her wrist twisted it & then pulled a knife on her throat.

"Touch her & you die. ", she said coldly.

"We don't need to get physical now okay.", the muscular guy said, "leave and you won't be harmed."

They did not think about anything & left in an instant.

"Are you okay?", the muscular guy helped Led get up.

"Yeah. Thank you for the help."

"What happened anyway?", the girl asked

"I'd rather not tell you the reason. "

"Well that's upto you. I'm Pekora", they shook hands, "this guy right here is Trevor and our little mistresses right here", she patted her head, "is Korone"

"Can I ask you guys a question?"

"Sure why not."

"Who exactly are you guys & how old is she."

"Well...you see..."

"I'm nine and these are my bodyguards. ", Korone interrupted her.

"Bodyguards? ", he asked nervously.

"Because my dad is a gangst...", Trevor put his hand on her lips.

"He is a businessman", he laughed nervously while saying that.

Pekora laughed nervously on hearing that.

Led too laughed nervously.

All of them laughed nervously.

Trevor grappled him & Pekora pulled out her knife again.

"I won't say this to anyone I promise."

"How can we be so sure of that? ", Trevor asked him.

"I have an idea", Pekora touched his face,"how about we give this beautiful face a nice little scar so that he will remember not to tell anyone."

"Hey! n...no!", Led was legit scared now.

Korone, who was witnessing all this couldn't restrain herself.

"If you guys do something to him I'll tell papa you guys went on a date once while being on duty! "

Both of them bowed down to him on their knees.

"We're sorry!", they yelled in unison.

"It's okay I'm gonna go now. " , he tried to sound cool.

"Hey we're having a party here. How about you stay with us for a while here?", Pekora as ked him.

"I think I'll go now. I've had enough action for the day."

"I'm gonna be sad you know.", Korone said, "and papa does not like it when I'm sad."

"Let's party!", he changed his colors in an instant.

"Yay! Trevor made a cake today.", Korone said

"He makes the best cakes.", Pekora praise him.

Trevor blushed, "Thank you guys."

"Here have some juice..."

He made some interesting friends that day.